• Input:
This record from the Open Molecules 2025 dataset describes C44H54F5IrN3O2SSe3 as an isolated structure in a non-equilibrium geometry. The level of theory is ωB97M-V/def2-TZVPD.

Max |F| ... 3.41 eV/A
LUMO level (spin up / spin down) ... -6.0101 / -9.2397 eV
Energy relative to the best compared isomer or geometry (same formula, charge and spin) ... 1.8247 eV
Spin multiplicity ... 6
Total energy ... -278348.7871 eV
Net charge ... +2
Frontier orbital gap (spin up / spin down) ... 0.219 / 0.123 hartree

```
113
Properties=species:S:1:pos:R:3:forces:R:3
Ir -0.4577 -1.2038 -1.5286 -0.185 1.625 0.250
C -2.8593 5.4721 -1.5687 0.006 -0.840 -0.333
C -1.3583 5.4110 -1.9119 0.742 -0.291 0.472
C -0.5917 6.0593 -0.7059 0.309 -0.711 -1.204
C -1.0929 6.2246 -3.1976 -0.587 0.438 0.702
C -0.8161 3.9500 -2.0805 -0.668 -0.347 1.180
C -1.4110 2.8657 -1.3967 0.322 0.624 -1.136
C -0.8735 1.5748 -1.5414 -0.179 1.175 0.111
N -1.2482 0.4599 -0.8592 0.330 0.349 -0.765
C -2.0722 0.3498 0.1986 -1.173 -0.223 1.905
C -2.5479 1.3654 1.0708 0.049 -0.696 -0.274
C -3.4124 1.0063 2.1152 0.110 0.690 -0.445
C -3.6488 -0.3428 2.3900 0.604 -0.648 -1.278
C -3.0888 -1.3996 1.6531 0.151 1.587 -0.640
C -2.3617 -1.0225 0.5001 0.143 -0.394 0.873
O -1.8025 -1.9728 -0.2638 0.937 0.691 -0.982
C -3.3817 -2.8020 2.0737 -0.597 -1.678 0.012
C -4.8172 -3.0872 1.6104 -0.335 0.479 0.400
C -3.2536 -2.8782 3.5991 0.263 -1.154 -0.045
C -2.5128 -3.9412 1.5208 0.020 0.100 -0.095
C -4.1182 2.0626 2.9594 -0.709 0.877 0.644
C -3.1715 3.2595 3.3092 -0.501 -0.185 0.322
C -4.6311 1.4054 4.2834 1.594 1.262 -0.056
C -5.4125 2.6646 2.2583 1.304 -0.033 -0.634
C 0.1866 1.3519 -2.4649 1.576 -0.687 -0.656
O 0.5881 0.0769 -2.7049 -1.417 0.470 1.365
C 0.9218 2.4453 -3.0397 -1.131 0.478 0.530
C 0.3945 3.7242 -2.7827 0.197 -0.374 -0.562
C 2.1842 2.1900 -3.8359 0.308 -0.807 -0.303
C 2.7753 3.5363 -4.2582 0.245 0.768 -0.175
C 1.9243 1.2869 -5.0809 -0.284 0.715 -0.758
C 3.2164 1.3838 -2.9911 -0.206 0.684 -0.183
H -3.1870 6.5025 -1.3347 0.276 -0.532 -0.219
H -3.0615 4.8324 -0.6746 -0.121 0.583 -0.695
H -3.4125 5.0949 -2.4591 -0.034 0.213 0.801
H -1.0586 6.9936 -0.4534 -0.219 0.396 0.241
H 0.4248 6.2640 -1.0278 0.280 0.094 0.114
H -0.5350 5.3950 0.1506 -0.222 -0.028 0.184
H -1.5009 7.2231 -2.9994 -0.083 -0.111 -0.283
H -1.6304 5.7773 -4.0346 0.144 0.121 -0.103
H -0.0478 6.4079 -3.4470 0.008 -0.326 0.045
H -2.3483 3.0147 -0.8850 0.154 -0.093 0.108
H -2.1737 2.3775 0.9388 -0.443 -0.226 0.109
H -4.3140 -0.6091 3.1747 -0.166 -0.055 0.436
H -5.5044 -2.4606 2.1865 -0.147 -0.063 -0.228
H -5.1164 -4.1148 1.7263 0.053 -0.512 0.347
H -4.9356 -2.8707 0.5569 0.004 0.237 -0.295
H -4.0928 -2.4320 4.0765 -0.586 0.461 0.594
H -2.3513 -2.3579 3.8683 0.419 0.294 0.442
H -3.1651 -3.9149 4.0007 -0.185 0.635 -0.539
H -2.5910 -4.0593 0.4412 -0.177 -0.184 0.126
H -2.7246 -4.8809 2.0558 -0.266 0.366 -0.376
H -1.4892 -3.7253 1.7311 1.060 0.133 0.088
H -2.2819 2.9310 3.8222 0.399 -0.465 0.332
H -3.6598 3.9640 4.0155 0.077 -0.355 -0.649
H -2.7869 3.8099 2.4492 -0.437 0.070 -0.141
H -3.7770 0.9423 4.8330 -0.692 0.242 -0.252
H -5.3895 0.6832 4.0867 -0.588 -0.486 0.010
H -5.0502 2.2089 4.8899 -0.052 -0.174 0.147
H -5.1894 3.0352 1.2256 -0.126 -0.276 0.814
H -5.8398 3.4895 2.8342 0.315 -0.039 0.069
H -6.1826 1.9160 2.1928 -0.284 -0.450 -0.186
H 0.8544 4.6375 -3.1808 0.010 -0.813 0.083
H 2.1598 4.0336 -5.0401 0.264 -0.373 0.471
H 3.7832 3.4374 -4.6765 -0.180 -0.221 0.028
H 2.8669 4.2623 -3.4152 -0.006 -0.662 -0.464
H 1.4004 1.8804 -5.8726 0.311 -0.544 0.552
H 1.2894 0.4226 -4.8133 0.587 0.368 -0.296
H 2.9109 0.9626 -5.5103 -1.003 0.187 0.420
H 3.6206 2.0709 -2.2660 0.172 -0.037 0.782
H 4.0373 1.1276 -3.6436 0.303 -0.105 -0.256
H 2.8466 0.4496 -2.5558 -0.065 0.438 0.000
C 1.4346 0.5111 5.3086 -0.013 -0.332 -0.346
Se 1.7544 -0.0756 3.4071 0.392 -0.515 1.577
C 2.9441 -1.6140 3.8756 1.217 0.692 -1.035
C 2.2424 -2.9682 3.7592 -0.169 0.163 -0.243
Se 2.4532 -3.7024 1.9636 0.642 -0.474 0.247
C 4.3549 -4.3560 2.1608 -0.602 0.546 -0.201

• Work order:
Retype the part of the entries further above that starts with the line with "4.0007 -0.185" and stops after the one with "-0.465 0.332".

• Written answer:
H -3.1651 -3.9149 4.0007 -0.185 0.635 -0.539
H -2.5910 -4.0593 0.4412 -0.177 -0.184 0.126
H -2.7246 -4.8809 2.0558 -0.266 0.366 -0.376
H -1.4892 -3.7253 1.7311 1.060 0.133 0.088
H -2.2819 2.9310 3.8222 0.399 -0.465 0.332